Alex Francis

First off, Plague Inc was not the first of it's kind. In fact, the creator even says his major influence was Pandemic 2. I'll go ahead and list a few differences anyway. 1) 17th century England, probably won't be battling against airplane and ship filtration systems, or global first aid. 2) You're playing a character

### The piece is interrupted by calculated crystals
/*
[1]
A relaxed Tm3Cu4Sn4 crystal, computed with PBE-GGA.

Results
V = 234 Å³ per cell
total moment = 0.002 μB/atom
relative energy among the computed polymorphs = 143 meV/atom
ΔH_f (0 K) = -0.330 eV per atom

extended XYZ file:
```
11
Lattice="-3.802 -4.024 -6.008 -1.024 -1.624 -7.941 3.467 -6.836 -3.505" Properties=species:S:1:pos:R:3 pbc="T T T"
Tm -3.596 -5.857 -12.439
Tm 2.236 -6.627 -5.015
Tm -0.680 -6.242 -8.727
Cu -1.414 -7.645 -11.524
Cu 1.724 -8.086 -7.563
Cu -3.083 -4.399 -9.892
Cu 0.054 -4.839 -5.931
Sn -1.642 -9.276 -13.877
Sn -1.871 -3.927 -7.565
Sn 0.282 -3.208 -3.577
Sn 0.512 -8.558 -9.890
```

=====

[2]
A relaxed Tm3Cu4Sn4 crystal, computed with PBE-GGA.

Results
V = 224 Å³ per cell
relative energy among the computed polymorphs = 2 meV/atom
ΔH_f (0 K) = -0.471 eV per atom

extended XYZ file:
```
11
Lattice="-2.225 3.464 7.252 2.225 -3.464 7.252 2.225 3.464 -7.252" Properties=species:S:1:pos:R:3 pbc="T T T"
Sn 0.000 0.000 3.143
Sn 0.000 1.418 7.252
Sn 0.000 0.000 11.361
Sn 2.225 2.046 0.000
Cu 0.000 2.163 9.768
Cu 2.225 1.301 -2.516
Cu 2.225 1.301 2.516
Cu 0.000 2.163 4.736
Tm 0.000 3.464 1.873
Tm 2.225 0.000 5.379
Tm 0.000 0.000 0.000
```

=====

[3]
A relaxed Tm3Cu4Sn4 crystal, computed with PBE-GGA.

Results
V = 224 Å³ per cell
relative energy among the computed polymorphs = 0 meV/atom
ΔH_f (0 K) = -0.473 eV per atom

extended XYZ file:
```
11
Lattice="-4.391 0.197 0.574 0.769 5.623 3.947 1.237 1.401 -8.132" Properties=species:S:1:pos:R:3 pbc="T T T"
Cu -2.137 3.251 -0.347
Cu -0.249 3.970 -3.264
Cu -0.514 1.637 -4.492
Cu -1.872 5.583 0.881
Tm 0.384 2.811 1.974
Tm -0.141 1.192 -1.485
Tm -2.245 6.028 -2.126
Sn -2.510 2.643 -2.986
Sn -0.792 2.560 -6.933
Sn 0.124 4.577 -0.624
Sn -1.594 4.660 3.322
```

=====

[4]
A relaxed TmCu5Sn crystal, computed with PBE-GGA.

Results
V = 434 Å³ per cell
ΔH_f (0 K) = -0.249 eV per atom

extended XYZ file:
```
28
Lattice="4.992 0.000 0.000 0.000 8.206 0.000 0.000 0.000 10.585" Properties=species:S:1:pos:R:3 pbc="T T T"
Sn 3.744 2.953 6.760
Sn 3.744 7.056 9.117
Sn 1.248 5.252 3.825
Sn 1.248 1.150 1.468
Cu 1.248 7.486 5.479
Cu 3.744 3.624 4.214
Cu 4.983 0.535 7.270
Cu 1.248 2.574 7.989
Cu 2.504 4.638 8.607
Cu 1.248 0.479 9.506
Cu 2.488 3.568 1.978
Cu 2.488 7.671 3.314
Cu 3.744 7.727 1.079
Cu 1.248 4.582 6.371
Cu 4.983 4.638 8.607
Cu 3.744 4.823 0.187
Cu 0.008 3.568 1.978
Cu 1.248 6.677 7.888
Cu 1.248 3.383 10.398
Cu 3.744 5.632 2.595
Cu 3.744 0.720 5.106
Cu 0.008 7.671 3.314
Cu 2.504 0.535 7.270
Cu 3.744 1.529 2.697
Tm 1.248 6.171 0.672
Tm 1.248 2.068 4.621
Tm 3.744 6.138 5.964
Tm 3.744 2.035 9.913
```

=====

[5]
A relaxed UCu2Sn crystal, computed with PBE-GGA.

Results
V = 152 Å³ per cell
total moment = 0.629 μB/atom
ΔH_f (0 K) = 0.193 eV per atom

extended XYZ file:
```
8
Lattice="2.352 -4.074 0.000 2.352 4.074 0.000 0.000 0.000 7.929" Properties=species:S:1:pos:R:3 pbc="T T T"
Cu 2.352 -1.358 3.147
Cu 2.352 -1.358 0.818
Cu 2.352 1.358 4.782
Cu 2.352 1.358 7.111
Sn 2.352 -1.358 5.947
*/


For such an upbeat and optimistic show, it had the saddest finale of any show I've watched.

I hope you limbered up before that stretch.

I feel like someone is always talking about it in this country. I also remember seeing a website with new potential bill designs, but that was probably 3 years ago. Also, you're asking a country that has a hard time evolving the way it thinks about its heritage, to change its heritage. I would love for us to see new

See, fun game. I also think the OP comparing it to PGR , is making a pretty dumb comparison. One is more of a racing sim, the other allows you to shoot people with light weapons. Battle racing and sim racing, two different categories. So if you don't like to use weapons during your racing, you most definitely won't

Too each there own, people still play blur online til this day. I have fun with it, and I know many others that enjoyed it as well. The multiplayer community, sadly, is dwindling.

Man, I was expecting so much more...

Looks like Dick Roman from Supernatural. Who in turn reminds me of Christian Bale in American Psycho.

Grover was Scut Farkus's sidekick. Some more Christmas Story trivia: The song that plays the first time you meet Scut, is from Peter and the Wolf; and farkas is Hungarian for wolf.

I would gladly purchase it legally if itunes had a purchase option, rather than charging TEN DOLLARS for a rental.

I just recently found out that the Paperboy is the kid who played Grover Dill in “A Christmas Story"

You sir or ma’am, are a crazy person.

I was wondering that same thing. The writer ( or another oblivious defender) even stated in those comments that the time frame was not made clear in the movie. Except it was, on multiple occasions.

FCS is so much better. Stupid bowl games...

That’s what I said. It confuses me, and is the only of the GIFs that I’ve looked at for more than 30 secs.

Most definitely A. I'm also pretty sure that I learned about Homonyms and their ilk much earlier than either Freshman year. Which could be why I had to Google it. Also, was just clicking pics at the bottom of I09, and did not notice I was on deadspin, or I would have realized how punny your joke was. Instead, I just

If only there was someway to describe words that are spelled the same, but have different meanings...

I commend you for your convictions Jeremy, and I shun all the people on this site that lack adult level reading comprehension.